

Here the entry breaks off for materials data:
Structure and theoretical XRD peak list of Ho2V3Si4 (the PBE geometry in Alexandria; Cu Kα, 1.54184 Å).
No peak broadening, texture or thermal motion is included.

Top 8 peaks for 10 to 90 degrees two-theta, sorted by position:
2θ/deg	d/Å	intensity
19.0	4.673	65
30.8	2.907	31
35.0	2.566	54
35.2	2.550	52
37.7	2.385	100
38.0	2.367	99
42.3	2.135	54
42.7	2.118	37

Atomic structure:
```
18
Lattice="6.8088 0.0000 0.0000 0.0000 6.8047 0.0000 -2.2015 0.0000 6.3139" Properties=species:S:1:pos:R:3 pbc="T T T"
Ho 1.1383 1.1435 0.3843
Ho 0.0376 2.2588 3.5412
Ho 4.5698 4.5459 2.7726
Ho 3.4690 5.6611 5.9296
V 1.2164 4.5703 1.5684
V 0.1156 5.6367 4.7254
V 2.3037 0.0000 3.1569
V 3.4044 3.4023 0.0000
V 4.4917 1.1680 1.5885
V 3.3910 2.2343 4.7454
Si -1.3020 3.7057 5.5049
Si -0.2013 6.5013 2.3480
Si 1.4883 0.8772 5.4932
Si 2.5890 2.5252 2.3363
Si 2.0183 4.2795 3.9776
Si 3.1190 5.9275 0.8207
Si 4.8087 0.3034 3.9659
Si 5.9094 3.0989 0.8090
```

---

Structure and theoretical XRD peak list of YHoSi4 (the PBE geometry in Alexandria; Cu Kα, 1.54184 Å).
No peak broadening, texture or thermal motion is included.

Top 8 peaks for 10 to 90 degrees two-theta, sorted by position:
2θ/deg	d/Å	intensity
16.5	5.385	45
28.2	3.161	28
30.0	2.980	38
33.8	2.651	36
35.4	2.535	100
37.8	2.378	46
42.7	2.117	27
45.4	1.997	27

Atomic structure:
```
24
Lattice="8.8204 0.0000 0.0000 0.0000 13.5999 0.0000 0.0000 0.0000 4.2344" Properties=species:S:1:pos:R:3 pbc="T T T"
Y 0.4102 1.7982 0.0000
Y 4.0000 8.5981 0.0000
Y 4.8204 5.0018 0.0000
Y 8.4102 11.8017 0.0000
Ho 1.2941 5.6502 0.0000
Ho 3.1161 12.4502 0.0000
Ho 5.7043 1.1497 0.0000
Ho 7.5262 7.9497 0.0000
Si 0.3707 3.8644 2.1172
Si 0.8557 7.6616 2.1172
Si 1.2366 13.4863 2.1172
Si 1.6202 11.1079 2.1172
Si 2.7900 4.3080 2.1172
Si 3.1736 6.6864 2.1172
Si 3.5545 0.8617 2.1172
Si 4.0394 10.6643 2.1172
Si 4.7809 2.9356 2.1172
Si 5.2659 12.7382 2.1172
Si 5.6468 6.9135 2.1172
Si 6.0304 9.2919 2.1172
Si 7.2002 2.4920 2.1172
Si 7.5837 0.1136 2.1172
Si 7.9646 5.9383 2.1172
Si 8.4496 9.7355 2.1172
```

---

Structure and theoretical XRD peak list of YHoZnSi (the PBE geometry in Alexandria; Cu Kα, 1.54184 Å).
No peak broadening, texture or thermal motion is included.

Top 8 peaks for 10 to 90 degrees two-theta, sorted by position:
2θ/deg	d/Å	intensity
27.5	3.241	36
31.8	2.810	100
32.9	2.723	53
33.3	2.693	27
39.9	2.261	48
43.3	2.089	23
44.7	2.029	21
56.6	1.627	22

Atomic structure:
```
4
Lattice="4.0577 0.0000 0.0000 0.0000 2.0888 5.3863 0.0000 -2.0888 5.3863" Properties=species:S:1:pos:R:3 pbc="T T T"
Y 0.0000 0.0000 0.0000
Ho 2.0288 0.0000 3.0513
Zn 2.0288 0.0000 6.1609
Si 0.0000 0.0000 7.7201
```

---

Structure and theoretical XRD peak list of Ho5ZnSi2 (the PBE geometry in Alexandria; Cu Kα, 1.54184 Å).
No peak broadening, texture or thermal motion is included.

Top 8 peaks for 10 to 90 degrees two-theta, sorted by position:
2θ/deg	d/Å	intensity
27.5	3.242	48
30.5	2.933	31
32.9	2.719	100
35.0	2.562	65
38.2	2.355	60
53.1	1.726	23
54.4	1.687	26
The materials data stop here:

Din sökning på "*" gav 531425 sökträffar

Effects of Probiotic Bacteria Lactobacillaceae on the Gut Microbiota in Children With Celiac Disease Autoimmunity : A Placebo-Controlled and Randomized Clinical Trial

Disturbances of the gut microbiota may influence the development of various autoimmune diseases. This study investigated the effects of supplementations with the probiotic bacteria, Lactiplantibacillus plantarum HEAL9 and Lacticaseibacillus paracasei 8700:2, on the microbial community in children with celiac disease autoimmunity (CDA). The study included 78 genetically predisposed children for cel

Misplaced data records.
+++
Record 1
This entry pairs a crystal structure of La3Er4Mg with its computed XRD peak list. Radiation: Cu Ka. Structure: a cell relaxed with PBE.
Neutral-atom scattering factors, no anomalous dispersion.

Peak list (10 most intense, 2θ from 5° to 70°, by angle)
2θ 29.8, I 40, (1 1 2); 2θ 30.2, I 68, (1 2 1); 2θ 30.4, I 61, (0 4 0); 2θ 32.1, I 100, (0 2 4); 2θ 32.9, I 28, (1 0 3); 2θ 36.4, I 31, (1 2 3); 2θ 37.0, I 23, (1 3 2); 2θ 45.4, I 22, (1 4 3); 2θ 55.1, I 23, (0 6 4); 2θ 61.9, I 30, (2 2 4)

Cell and atoms:
a = 3.551 Å, b = 11.752 Å, c = 12.686 Å
α = 90.00°, β = 90.00°, γ = 90.00°
Space group Immm (No. 71)
One atom of each set of equivalent atoms:
La: 0.000 0.000 0.000 x2
La: 0.000 0.500 0.236 x4
Er: 0.000 0.244 0.366 x8
Mg: 0.000 0.000 0.500 x2



Record 2
This entry pairs a crystal structure of LaErMg17 with its computed XRD peak list. Radiation: Cu Ka. Structure: a cell relaxed with PBE.
Neutral-atom scattering factors, no anomalous dispersion.

Peak list (10 most intense, 2θ from 5° to 70°, by angle)
2θ 15.3, I 17, (0 1 2); 2θ 17.3, I 29, (1 1 0); 2θ 24.6, I 53, (1 1 3); 2θ 30.1, I 33, (3 0 0); 2θ 30.9, I 18, (0 2 4); 2θ 35.0, I 100, (2 2 0); 2θ 35.3, I 16, (0 0 6); 2θ 35.7, I 21, (2 0 5); 2θ 50.3, I 17, (4 1 3); 2θ 63.2, I 19, (0 3 9)

Cell and atoms:
a = 10.2701 Å, b = 10.2701 Å, c = 15.2571 Å
α = 90.00°, β = 90.00°, γ = 120.00°
Space group R3m (No. 160, hexagonal axes)
One atom of each set of equivalent atoms:
La: 0.0000 0.0000 0.0000 x3
Er: 0.0000 0.0000 0.3405 x3
Mg: 0.0000 0.0000 0.5681 x3
Mg: 0.0000 0.0000 0.7658 x3
Mg: 0.0005 0.5002 0.8192 x9
Mg: 0.0320 0.3630 0.3352 x18
Mg: 0.1689 0.3379 0.5031 x9
Mg: 0.1746 0.3492 0.8495 x9



Record 3
This entry pairs a crystal structure of La2Nd6Er3Mg with its computed XRD peak list. Radiation: Cu Ka. Structure: a cell relaxed with PBE.
Neutral-atom scattering factors, no anomalous dispersion.

Peak list (10 most intense, 2θ from 5° to 70°, by angle)
2θ 10.5, I 2, (0 1 1); 2θ 19.4, I 4, (0 1 3); 2θ 30.3, I 100, (1 2 3); 2θ 34.9, I 34, (2 0 0); 2θ 35.5, I 16, (0 4 0); 2θ 50.2, I 12, (2 0 6); 2θ 50.6, I 23, (2 4 0); 2θ 59.7, I 29, (3 2 3); 2θ 60.5, I 14, (1 6 3); 2θ 63.0, I 12, (2 4 6)

Cell and atoms:
a = 5.138 Å, b = 10.118 Å, c = 15.445 Å
α = 90.00°, β = 90.00°, γ = 90.00°
Space group Immm (No. 71)
One atom of each set of equivalent atoms:
La: 0.000 0.000 0.163 x4
Nd: 0.000 0.245 0.334 x8
Nd: 0.000 0.257 0.000 x4
Er: 0.000 0.500 0.170 x4
Er: 0.000 0.500 0.500 x2
Mg: 0.000 0.000 0.500 x2



Record 4
This entry pairs a crystal structure of La6Pm2Er3Mg with its computed XRD peak list. Radiation: Cu Ka. Structure: a cell relaxed with PBE.
Neutral-atom scattering factors, no anomalous dispersion.

Peak list (10 most intense, 2θ from 5° to 70°, by angle)
2θ 30.1, I 100, (1 3 1); 2θ 30.5, I 32, (0 0 4); 2θ 35.0, I 67, (2 0 2); 2θ 50.1, I 24, (0 6 0); 2θ 50.6, I 24, (1 3 5); 2θ 59.6, I 14, (4 0 0); 2θ 59.8, I 10, (0 6 4); 2θ 59.8, I 19, (3 3 3); 2θ 60.2, I 14, (2 0 6); 2θ 62.6, I 12, (2 6 2)
+++

Outcomes of Primary vs. Delayed Strategy of Implanting a Cardiac Monitor for Unexplained Syncope

Objective: Implantable cardiac monitors (ILR) have an important role in diagnosing unexplained syncope. However, outcomes of primary vs. delayed ILR implantation after initial syncope evaluation have not been explored. Methods: A total of 1705 patients with unexplained syncope were prospectively enrolled in the SYSTEMA (Syncope Study of Unselected Population in Malmö) cohort. Patients who underwen

Characterisation of single-phase fluid-flow heterogeneity due to localised deformation in a porous rock using rapid neutron tomography

The behaviour of subsurface-reservoir porous rocks is a central topic in the resource engineering industry and has relevant applications in hydrocarbon, water production, and CO2 sequestration. One of the key open issues is the effect of deformation on the hydraulic properties of the host rock and, specifically, in saturated environments. This paper presents a novel full-field data set describing

Effect of welding fumes on the cardiovascular system : a six-year longitudinal study

Objective This study investigated whether low-to-moderate exposure to welding fumes is associated with adverse effects on the cardiovascular system.Methods To test this, we performed a longitudinal analysis of 78 mild steel welders and 96 controls; these subjects were examined twice, six years apart (ie, timepoints 1 and 2). All subjects (male and non-smoking at recruitment) completed questionnair

Objective, subjective, and conscious cross-linguistic similarity as predictors of intentionality in lexical transfer

The study tested vocabulary acquisition of a pseudo-language in Swedish–English bilinguals. A computerized paired-associate learning task was used to teach form-meaning mappings. A learning assessment task was administered after each block. The primary research question was whether subjective typology measures predict conscious and unconscious performance in post-learning outcomes.

[Records of crystals, as found in the file]
# 1
Re5Ni2Sn: theoretical X-ray diffraction stick pattern (copper Kα), based on the PBE geometry in OQMD.
Neutral-atom scattering factors, no anomalous dispersion.

```
data_Re5Ni2Sn
_symmetry_space_group_name_H-M 'P 1'
_symmetry_Int_Tables_number 1
_cell_length_a 4.402
_cell_length_b 5.509
_cell_length_c 5.509
_cell_angle_alpha 59.12
_cell_angle_beta 90.00
_cell_angle_gamma 90.00
loop_
_symmetry_equiv_pos_as_xyz
'x,y,z'
loop_
_atom_site_label
_atom_site_fract_x
_atom_site_fract_y
_atom_site_fract_z
Re1 0.000 0.000 0.000
Re2 0.000 0.501 0.990
Re3 0.000 0.990 0.501
Re4 0.500 0.341 0.841
Re5 0.500 0.841 0.341
Ni1 0.000 0.508 0.508
Ni2 0.500 0.840 0.840
Sn1 0.500 0.346 0.346
```

The 10 most intense peaks (10 to 80 degrees two-theta), in order of rising 2θ:
2θ = 27.51°, 3.242 Å, rel. 10
2θ = 27.69°, 3.222 Å, rel. 9
2θ = 38.06°, 2.364 Å, rel. 33
2θ = 41.00°, 2.201 Å, rel. 43
2θ = 42.98°, 2.105 Å, rel. 64
2θ = 43.45°, 2.083 Å, rel. 100
2θ = 57.18°, 1.611 Å, rel. 20
2θ = 68.08°, 1.377 Å, rel. 18
2θ = 76.06°, 1.251 Å, rel. 12
2θ = 76.39°, 1.247 Å, rel. 19

# 2
Re2NiSn: theoretical X-ray diffraction stick pattern (copper Kα), based on the PBE geometry in OQMD.
Neutral-atom scattering factors, no anomalous dispersion.

```
data_Re2NiSn
_symmetry_space_group_name_H-M 'P 1'
_symmetry_Int_Tables_number 1
_cell_length_a 4.529
_cell_length_b 5.541
_cell_length_c 5.541
_cell_angle_alpha 119.28
_cell_angle_beta 90.00
_cell_angle_gamma 90.00
loop_
_symmetry_equiv_pos_as_xyz
'x,y,z'
loop_
_atom_site_label
_atom_site_fract_x
_atom_site_fract_y
_atom_site_fract_z
Re1 0.250 0.090 0.910
Re2 0.250 0.611 0.928
Re3 0.750 0.910 0.090
Re4 0.750 0.928 0.611
Ni1 0.250 0.091 0.414
Ni2 0.750 0.414 0.091
Sn1 0.250 0.595 0.401
Sn2 0.750 0.401 0.595
```

The 10 most intense peaks (10 to 80 degrees two-theta), in order of rising 2θ:
2θ = 18.36°, 4.833 Å, rel. 14
2θ = 26.98°, 3.305 Å, rel. 13
2θ = 37.21°, 2.417 Å, rel. 14
2θ = 37.63°, 2.391 Å, rel. 19
2θ = 39.81°, 2.264 Å, rel. 36
2θ = 42.40°, 2.132 Å, rel. 100
2θ = 42.77°, 2.114 Å, rel. 33
2θ = 55.93°, 1.644 Å, rel. 12
2θ = 67.63°, 1.385 Å, rel. 14
2θ = 74.04°, 1.280 Å, rel. 20

# 3
Re3Ni2Sn3: theoretical X-ray diffraction stick pattern (copper Kα), based on the PBE geometry in OQMD.
Neutral-atom scattering factors, no anomalous dispersion.

```
data_Re3Ni2Sn3
_symmetry_space_group_name_H-M 'P 1'
_symmetry_Int_Tables_number 1
_cell_length_a 5.528
_cell_length_b 4.507
_cell_length_c 5.634
_cell_angle_alpha 90.00
_cell_angle_beta 111.43
_cell_angle_gamma 90.00
loop_
_symmetry_equiv_pos_as_xyz
'x,y,z'
loop_
_atom_site_label
_atom_site_fract_x
_atom_site_fract_y
_atom_site_fract_z
Re1 0.000 0.000 0.000
Re2 0.193 0.500 0.235
Re3 0.749 0.500 0.214
Ni1 0.184 0.500 0.776
Ni2 0.499 0.000 0.446
Sn1 0.019 0.000 0.506
Sn2 0.482 0.000 0.989
Sn3 0.659 0.500 0.687
```

The 10 most intense peaks (10 to 80 degrees two-theta), in order of rising 2θ:
2θ = 16.90°, 5.245 Å, rel. 24
2θ = 39.07°, 2.305 Å, rel. 47
2θ = 39.77°, 2.267 Å, rel. 100
[So much for the records of crystals]

Hovrättens möbler och andra betydelsefulla saker

På Hovrätten över Skåne och Blekinge finns flera möbler och föremål som funnits och använts sedan 1800-talet. Vi lät docenterna Martin Sunnqvist och Linda Fagerström ta en titt på några saker som de tycker är intressanta att berätta mer om.Filmen är en del av hovrättens 200-årsjubileum som firas från maj 2021 till maj 2022. Mer information finns på hovrättens webbplats: www.domstol.se/jubileumsare

AI i offentlig sektor : Från etiska riktlinjer till lagstiftning

Användningen av artificiell intelligens (AI), det vill säga en rad primärt databeroende metoder och teknologier för bland annat prediktion och automation, tycks bidra till en omvälvande period i den offentliga förvaltningen. Detta skifte föranleder ett styrningsbehov, ofta kopplat till tillitsfrågor, vilket i en internationell kontext inte minst syns i en stor mängd etiska riktlinjer och principie

Climate change and land degradation in Africa : A case study in the Mount Elgon region, Uganda

The aim of this study is to estimate and compare soil erosion, in the Mount Elgon region, eastern Uganda, during the last decade. Possible trends and changes in erosion are linked to precipitation/climate change as well as changes in land cover. Two different versions of the Revised Universal Soil loss Equation RUSLE. are implemented and compared, one using slope length and the other using flow ac

Do Drug Accessibility and OOP Burden Affect Health-Related Quality of Life of Patients With Chronic Diseases? — EQ-5D-5L Evaluation Evidence From Five Districts in China

Purpose: The dependence of patients with chronic diseases on drugs may affect their health-related quality of life (HRQoL). This study aims to assess the relationship between the direct economic burden caused by out-of-pocket (OOP) payments, drug accessibility, sociodemographic characteristics, and health-related quality of life. Methods: 1,055 patients with chronic diseases from Gansu, Hebei, Sic

Fluoroquinolones and Other Antibiotics Redeemed for Cystitis—A Swedish Nationwide Cohort Follow-Up Study (2006–2018)

Background: Antibiotics are commonly prescribed for outpatient management of cystitis. Previous evidence suggests that certain factors likely beyond the infection seem to influence the choice of antimicrobial treatment. However, studies on the specific antibiotic treatments for cystitis are lacking. This study aimed to explore the antibiotic treatments for cystitis using nationwide primary healthc

Auraproduktion och "klassikerfiering" : Om aktivt meningsskapande som gör möbler till klassiker ‒ exemplifierat genom stolar från Sverige och Danmark

Klassiker är ett komplext fenomen. Dynamiskt och svårfångat. Artikeln undersöker hur en modern möbelklassiker skapas Begreppet kan laddas med värden av både immateriell och materiell karaktär. Auraproduktion fyller möbeln med innehåll och stärker den som objekt, vilket gör det till ett operativt och flitigt använt epitet inom både kommersiell och kulturell verksamhet. I artikeln lyfts exempel på p

Systematic analysis of mycobacterial acylation reveals first example of acylation-mediated regulation of enzyme activity of a bacterial phosphatase

Protein lysine acetylation is known to regulate multiple aspects of bacterial metabolism. However, its presence in mycobacterial signal transduction and virulence-associated proteins has not been studied. In this study, analysis of mycobacterial proteins from different cellular fractions indicated dynamic and widespread occurrence of lysine acetylation. Mycobacterium tuberculosis proteins regulati

An integrated raster-tin surface flow algorithm

In this chapter, an alternative surface flow algorithm is presented. The basic idea behind the algorithm is the use of the advantages of TIN-based algorithms within a raster based environment. A gridded raster DEM is used to create a ‘regular TIN’, over which surface flow is estimated. Since each facet in the TIN has a constant slope and slope direction, the estimations of, for example, flow veloc

Local Destruction of Tumors and Systemic Immune Effects

Current immune-based therapies signify a major advancement in cancer therapy; yet, they are not effective in the majority of patients. Physically based local destruction techniques have been shown to induce immunologic effects and are increasingly used in order to improve the outcome of immunotherapies. The various local destruction methods have different modes of action and there is considerable